Brief:
It remains to start at the top of the entries underneath and write out each line, ending with the one that has "4.848146 -4.365722".
Material:
____________
[1]
Computed, not measured: 7 unconnected molecules or ions with the total composition C35H86N7O9PS at a distorted geometry, with ωB97M-V with the def2-TZVPD basis set.

LUMO level = 0.1 eV
orbital gap = 8.456 eV
SMILES string = [H]/N=C(\C)C[C@]1(CCCCC)OC(=O)O[C@@H]1[PH2]=S.COC[C@@H](C)N.COC[C@@H](C)N.COC[C@@H](C)N.COC[C@@H](C)N.COC[C@@H](C)N.COC[C@@H](C)N

Structure (XYZ):
```
139
Properties=species:S:1:pos:R:3:forces:R:3
H 0.038186 -1.445813 -4.227561 0.62 -0.50 -0.53
N 0.805296 -1.947501 -4.727408 1.51 -2.58 2.02
C 1.278510 -2.907928 -3.938141 -1.89 2.21 -0.29
C 0.527728 -3.048557 -2.499753 -0.12 -0.67 -0.76
C 2.470286 -3.879560 -4.395803 -2.01 1.38 -0.25
C 3.951284 -3.315453 -4.109060 -0.94 -2.80 -2.06
C 4.571403 -4.338920 -3.042634 0.41 -0.29 0.44
C 3.987960 -4.200694 -1.551256 0.24 -0.16 0.08
C 4.552201 -2.934537 -0.731728 -0.68 0.32 -0.14
C 3.538503 -1.659144 -0.745523 0.67 -0.41 -1.09
C 4.339081 -0.283562 -0.979999 -0.69 -0.17 0.55
O 4.164325 -1.913041 -3.848576 2.47 -0.63 0.70
C 5.602254 -1.810146 -4.076104 1.84 0.14 -0.05
O 6.446661 -1.142215 -3.472383 -3.90 -2.56 -2.43
O 5.911571 -2.726084 -5.156863 -0.92 1.21 1.76
C 4.640092 -3.341828 -5.582522 1.05 0.25 2.36
P 3.944695 -1.953731 -6.732298 0.56 1.19 -1.07
S 5.413936 -0.834033 -7.420520 -0.63 -0.56 0.14
H 0.749959 -4.068976 -2.038560 -0.27 1.53 -0.33
H 0.765378 -2.184738 -1.791987 -0.01 -1.34 -0.98
H -0.612173 -2.998142 -2.683147 1.93 -0.22 0.06
H 2.341428 -4.013909 -5.537034 0.13 0.32 1.77
H 2.254987 -4.908077 -3.940460 0.71 1.59 -0.42
H 5.718069 -4.294504 -2.956450 -1.66 0.12 -0.37
H 4.294447 -5.395754 -3.412438 0.56 1.67 0.39
H 2.846880 -4.187784 -1.590107 1.48 0.08 0.14
H 4.272773 -5.164873 -0.978819 -0.38 1.48 -1.04
H 5.551215 -2.582709 -1.182933 -1.39 -0.70 0.79
H 4.687829 -3.262317 0.353619 0.09 0.55 -1.47
H 2.853043 -1.802922 -1.646977 0.76 0.26 1.31
H 2.903478 -1.662585 0.202556 0.92 0.15 -1.22
H 4.588345 -0.071471 -2.071738 -0.34 -0.61 1.51
H 5.318929 -0.349198 -0.393098 -1.40 0.50 -0.70
H 3.654725 0.576150 -0.633637 1.33 -1.11 -0.31
H 4.848146 -4.365722 -6.049221 -0.31 1.61 0.62
H 3.036944 -1.075671 -6.019212 0.14 -1.38 -0.37
H 3.289194 -2.491828 -7.900445 -0.14 -0.16 1.19
C 10.949548 0.683491 -5.347115 -0.09 -0.31 -0.22
O 9.620200 0.193202 -5.333558 0.04 0.37 0.32
C 8.639545 1.151909 -4.945749 -0.37 -0.16 -0.07
C 8.180592 2.086086 -6.083656 0.42 -0.20 -0.20
C 9.187566 3.184267 -6.412625 -0.04 0.33 0.02
N 7.878730 1.334992 -7.308800 -0.03 -0.15 0.23
H 11.126058 1.420310 -4.557789 -0.05 0.06 -0.05
H 11.183523 1.110310 -6.325151 0.14 0.18 0.09
H 11.623129 -0.161227 -5.188008 -0.10 -0.01 0.04
H 7.774127 0.567956 -4.621221 0.12 -0.05 -0.09
H 8.977063 1.719334 -4.069223 0.15 0.07 -0.06
H 7.260876 2.579941 -5.750421 0.01 -0.14 0.05
H 10.045428 2.812962 -6.976003 -0.07 -0.07 0.05
H 8.717269 3.959287 -7.025133 0.02 -0.14 0.03
H 9.558232 3.662533 -5.500866 0.01 -0.04 -0.05
H 7.135134 0.663930 -7.108810 0.20 0.34 -0.03
H 8.687537 0.745778 -7.508035 -0.08 0.14 -0.03
C -3.704489 1.568861 -0.211082 0.09 0.34 -0.14
O -2.354166 1.247662 -0.504977 -0.06 -0.48 0.17
C -2.084783 -0.147087 -0.596424 0.28 0.06 -0.10
C -2.429540 -0.771864 -1.963870 -0.32 0.44 0.07
C -3.923428 -1.003481 -2.168040 -0.16 -0.26 -0.07
N -1.917622 0.044897 -3.072585 0.26 -0.08 0.21
H -4.168866 0.834800 0.454120 0.01 -0.04 -0.05
H -4.277770 1.661731 -1.136293 -0.19 -0.10 0.09
H -3.721308 2.541850 0.283799 0.08 -0.09 0.03
H -1.004435 -0.245831 -0.444496 -0.03 0.10 -0.04
H -2.564435 -0.690026 0.227388 -0.16 0.02 -0.04
H -1.942619 -1.750586 -2.007990 0.00 0.14 0.12
H -4.466771 -0.081129 -2.379661 0.11 0.00 0.05
H -4.091107 -1.672356 -3.017331 0.07 0.11 0.06
H -4.371930 -1.469910 -1.285880 0.02 0.05 -0.04
H -0.904999 0.118023 -2.983045 -0.07 0.03 -0.02
H -2.241788 1.000067 -2.919583 -0.02 -0.14 -0.12
C -3.482276 2.412531 3.836706 -0.09 0.37 -0.03
O -4.815011 2.392472 3.351240 0.12 -0.54 0.05
C -5.537888 1.204470 3.660142 -0.26 -0.02 -0.07
C -6.154182 1.186775 5.073601 0.25 0.34 0.01
____________
Here it is:
[1]
Computed, not measured: 7 unconnected molecules or ions with the total composition C35H86N7O9PS at a distorted geometry, with ωB97M-V with the def2-TZVPD basis set.

LUMO level = 0.1 eV
orbital gap = 8.456 eV
SMILES string = [H]/N=C(\C)C[C@]1(CCCCC)OC(=O)O[C@@H]1[PH2]=S.COC[C@@H](C)N.COC[C@@H](C)N.COC[C@@H](C)N.COC[C@@H](C)N.COC[C@@H](C)N.COC[C@@H](C)N

Structure (XYZ):
```
139
Properties=species:S:1:pos:R:3:forces:R:3
H 0.038186 -1.445813 -4.227561 0.62 -0.50 -0.53
N 0.805296 -1.947501 -4.727408 1.51 -2.58 2.02
C 1.278510 -2.907928 -3.938141 -1.89 2.21 -0.29
C 0.527728 -3.048557 -2.499753 -0.12 -0.67 -0.76
C 2.470286 -3.879560 -4.395803 -2.01 1.38 -0.25
C 3.951284 -3.315453 -4.109060 -0.94 -2.80 -2.06
C 4.571403 -4.338920 -3.042634 0.41 -0.29 0.44
C 3.987960 -4.200694 -1.551256 0.24 -0.16 0.08
C 4.552201 -2.934537 -0.731728 -0.68 0.32 -0.14
C 3.538503 -1.659144 -0.745523 0.67 -0.41 -1.09
C 4.339081 -0.283562 -0.979999 -0.69 -0.17 0.55
O 4.164325 -1.913041 -3.848576 2.47 -0.63 0.70
C 5.602254 -1.810146 -4.076104 1.84 0.14 -0.05
O 6.446661 -1.142215 -3.472383 -3.90 -2.56 -2.43
O 5.911571 -2.726084 -5.156863 -0.92 1.21 1.76
C 4.640092 -3.341828 -5.582522 1.05 0.25 2.36
P 3.944695 -1.953731 -6.732298 0.56 1.19 -1.07
S 5.413936 -0.834033 -7.420520 -0.63 -0.56 0.14
H 0.749959 -4.068976 -2.038560 -0.27 1.53 -0.33
H 0.765378 -2.184738 -1.791987 -0.01 -1.34 -0.98
H -0.612173 -2.998142 -2.683147 1.93 -0.22 0.06
H 2.341428 -4.013909 -5.537034 0.13 0.32 1.77
H 2.254987 -4.908077 -3.940460 0.71 1.59 -0.42
H 5.718069 -4.294504 -2.956450 -1.66 0.12 -0.37
H 4.294447 -5.395754 -3.412438 0.56 1.67 0.39
H 2.846880 -4.187784 -1.590107 1.48 0.08 0.14
H 4.272773 -5.164873 -0.978819 -0.38 1.48 -1.04
H 5.551215 -2.582709 -1.182933 -1.39 -0.70 0.79
H 4.687829 -3.262317 0.353619 0.09 0.55 -1.47
H 2.853043 -1.802922 -1.646977 0.76 0.26 1.31
H 2.903478 -1.662585 0.202556 0.92 0.15 -1.22
H 4.588345 -0.071471 -2.071738 -0.34 -0.61 1.51
H 5.318929 -0.349198 -0.393098 -1.40 0.50 -0.70
H 3.654725 0.576150 -0.633637 1.33 -1.11 -0.31
H 4.848146 -4.365722 -6.049221 -0.31 1.61 0.62